**Request**
Next, copy everything underneath exactly.
**Input**
- - -
[1]
The following is a DFT calculation (ωB97M-V/def2-TZVPD) of a 12-piece molecular cluster, C4H34NO11 overall.

Positions of all 50 atoms, in Å:
C (0.86, 2.82, -1.66)
C (1.88, 1.67, -1.96)
C (2.73, 1.18, -0.87)
C (1.90, 0.30, 0.06)
N (-0.53, 2.24, -1.74)
H (0.91, 3.22, -0.64)
H (0.94, 3.57, -2.49)
H (1.23, 0.86, -2.43)
H (2.48, 2.04, -2.88)
H (3.52, 0.44, -1.19)
H (3.04, 2.02, -0.25)
H (1.47, -0.61, -0.30)
H (1.18, 0.90, 0.60)
H (2.74, -0.06, 0.77)
H (-0.88, 1.90, -2.67)
H (-1.20, 3.05, -1.49)
H (-0.64, 1.52, -0.91)
H (-1.60, 0.61, 1.82)
H (-2.89, 1.24, 2.45)
O (-2.54, 0.87, 1.58)
H (0.42, 0.45, 2.71)
H (-0.44, -0.65, 2.65)
O (-0.48, 0.20, 2.80)
H (0.94, -2.03, 1.13)
H (1.75, -2.35, 2.29)
O (1.69, -2.28, 1.41)
H (-0.41, -0.98, -2.14)
H (0.20, -2.26, -1.76)
O (-0.57, -1.82, -1.77)
H (-3.04, 1.94, 0.25)
H (-3.64, 2.95, -0.79)
O (-2.92, 2.41, -0.66)
H (2.06, 0.35, 4.26)
H (3.10, 0.80, 3.31)
O (2.26, 0.30, 3.31)
H (-2.81, -3.21, 1.72)
H (-2.23, -3.84, 0.47)
O (-1.87, -3.40, 1.25)
H (-2.21, 0.11, -4.14)
H (-2.81, 0.41, -2.73)
O (-2.12, 0.56, -3.31)
H (-2.56, 0.10, -0.09)
H (-1.75, -0.75, -1.02)
O (-2.29, 0.04, -1.00)
H (-0.34, -2.61, 4.02)
H (-0.26, -3.35, 2.79)
O (-0.22, -2.45, 3.12)
H (1.84, -3.49, -1.59)
H (2.09, -2.39, -0.70)
O (1.98, -2.56, -1.60)

The calculation puts the HOMO-LUMO gap at 0.4199 Eh. For the energy above the lowest of the compared OMol25 structures with the same formula, charge and spin, the calculation gives 441.21 kJ/mol. The net charge is +1. Its total energy is -1054.882666 Ha. Its multiplicity is 1.

---

[2]
The following is a DFT calculation (ωB97M-V/def2-TZVPD) of a 3-piece molecular cluster, CH8NO3 overall.

Positions of all 13 atoms, in Å:
N (-0.44, -1.24, 1.98)
C (0.16, -0.23, 1.02)
O (-0.75, 0.17, 0.04)
H (-0.04, -2.11, 1.67)
H (-1.37, -1.23, 1.54)
H (1.09, -0.69, 0.55)
H (0.51, 0.61, 1.58)
H (-0.18, 1.78, -0.38)
H (0.13, 1.89, -1.81)
O (0.09, 2.47, -1.03)
H (-0.36, -0.25, -1.28)
H (1.03, -0.50, -1.78)
O (0.12, -0.67, -2.10)

The calculation puts the HOMO-LUMO gap (spin up / spin down) at 0.4265 / 0.2662 Eh. For the energy above the lowest of the compared OMol25 structures with the same formula, charge and spin, the calculation gives 80.42 kJ/mol. The net charge is 0. Its total energy is -323.252857 Ha. Its multiplicity is 2.

---

[3]
The following is a DFT calculation (ωB97M-V/def2-TZVPD) of one molecule with the formula C3H3FO2.

Positions of all 9 atoms, in Å:
O (-2.56, 1.19, 0.03)
C (-1.37, 0.96, -0.02)
C (-0.55, -0.25, 0.07)
F (-1.05, -1.56, -0.01)
C (0.93, -0.19, 0.11)
O (1.49, -1.35, -0.05)
H (-0.61, 1.82, -0.29)
H (1.32, 0.78, 0.23)
H (2.40, -1.42, -0.07)

The calculation puts the HOMO-LUMO gap at 0.3370 Eh. For the energy above the lowest of the compared OMol25 structures with the same formula, charge and spin, the calculation gives 192.78 kJ/mol. The net charge is 0. The SMILES is O=C/C(F)=C/O. Its total energy is -366.374660 Ha. Its multiplicity is 1.

---

[4]
The following is a DFT calculation (ωB97M-V/def2-TZVPD) of a 2-piece molecular cluster, C6H13O2P overall.

Positions of all 22 atoms, in Å:
C (0.14, 0.57, -3.56)
C (-0.19, -0.13, -2.25)
P (-0.45, 0.59, -0.76)
O (-1.10, -0.82, -0.17)
C (-1.14, -1.13, 1.15)
C (-0.16, -2.26, 1.32)
C (1.27, -1.67, 1.53)
O (2.22, -1.67, 0.82)
H (-0.10, 1.56, -3.73)
H (1.16, 0.42, -3.90)
H (-0.38, 0.01, -4.24)
H (-0.02, -1.14, -2.53)
H (-2.13, -1.18, 1.57)
H (-0.75, -0.46, 1.96)
H (-0.28, -2.94, 0.43)
H (-0.29, -2.84, 2.19)
H (1.21, -1.32, 2.61)
C (0.21, 2.80, 1.54)
H (0.51, 3.72, 2.16)
H (0.81, 1.97, 1.73)
H (-0.83, 2.66, 1.63)
H (0.29, 3.25, 0.53)

The calculation puts the HOMO-LUMO gap at 0.3249 Eh. For the energy above the lowest of the compared OMol25 structures with the same formula, charge and spin, the calculation gives 364.34 kJ/mol. The net charge is 0. The SMILES is C/C=P/OCCC=O.C. Its total energy is -728.127083 Ha. Its multiplicity is 1.

---

[5]
- - -
**Completed**
[1]
The following is a DFT calculation (ωB97M-V/def2-TZVPD) of a 12-piece molecular cluster, C4H34NO11 overall.

Positions of all 50 atoms, in Å:
C (0.86, 2.82, -1.66)
C (1.88, 1.67, -1.96)
C (2.73, 1.18, -0.87)
C (1.90, 0.30, 0.06)
N (-0.53, 2.24, -1.74)
H (0.91, 3.22, -0.64)
H (0.94, 3.57, -2.49)
H (1.23, 0.86, -2.43)
H (2.48, 2.04, -2.88)
H (3.52, 0.44, -1.19)
H (3.04, 2.02, -0.25)
H (1.47, -0.61, -0.30)
H (1.18, 0.90, 0.60)
H (2.74, -0.06, 0.77)
H (-0.88, 1.90, -2.67)
H (-1.20, 3.05, -1.49)
H (-0.64, 1.52, -0.91)
H (-1.60, 0.61, 1.82)
H (-2.89, 1.24, 2.45)
O (-2.54, 0.87, 1.58)
H (0.42, 0.45, 2.71)
H (-0.44, -0.65, 2.65)
O (-0.48, 0.20, 2.80)
H (0.94, -2.03, 1.13)
H (1.75, -2.35, 2.29)
O (1.69, -2.28, 1.41)
H (-0.41, -0.98, -2.14)
H (0.20, -2.26, -1.76)
O (-0.57, -1.82, -1.77)
H (-3.04, 1.94, 0.25)
H (-3.64, 2.95, -0.79)
O (-2.92, 2.41, -0.66)
H (2.06, 0.35, 4.26)
H (3.10, 0.80, 3.31)
O (2.26, 0.30, 3.31)
H (-2.81, -3.21, 1.72)
H (-2.23, -3.84, 0.47)
O (-1.87, -3.40, 1.25)
H (-2.21, 0.11, -4.14)
H (-2.81, 0.41, -2.73)
O (-2.12, 0.56, -3.31)
H (-2.56, 0.10, -0.09)
H (-1.75, -0.75, -1.02)
O (-2.29, 0.04, -1.00)
H (-0.34, -2.61, 4.02)
H (-0.26, -3.35, 2.79)
O (-0.22, -2.45, 3.12)
H (1.84, -3.49, -1.59)
H (2.09, -2.39, -0.70)
O (1.98, -2.56, -1.60)

The calculation puts the HOMO-LUMO gap at 0.4199 Eh. For the energy above the lowest of the compared OMol25 structures with the same formula, charge and spin, the calculation gives 441.21 kJ/mol. The net charge is +1. Its total energy is -1054.882666 Ha. Its multiplicity is 1.

---

[2]
The following is a DFT calculation (ωB97M-V/def2-TZVPD) of a 3-piece molecular cluster, CH8NO3 overall.

Positions of all 13 atoms, in Å:
N (-0.44, -1.24, 1.98)
C (0.16, -0.23, 1.02)
O (-0.75, 0.17, 0.04)
H (-0.04, -2.11, 1.67)
H (-1.37, -1.23, 1.54)
H (1.09, -0.69, 0.55)
H (0.51, 0.61, 1.58)
H (-0.18, 1.78, -0.38)
H (0.13, 1.89, -1.81)
O (0.09, 2.47, -1.03)
H (-0.36, -0.25, -1.28)
H (1.03, -0.50, -1.78)
O (0.12, -0.67, -2.10)

The calculation puts the HOMO-LUMO gap (spin up / spin down) at 0.4265 / 0.2662 Eh. For the energy above the lowest of the compared OMol25 structures with the same formula, charge and spin, the calculation gives 80.42 kJ/mol. The net charge is 0. Its total energy is -323.252857 Ha. Its multiplicity is 2.

---

[3]
The following is a DFT calculation (ωB97M-V/def2-TZVPD) of one molecule with the formula C3H3FO2.

Positions of all 9 atoms, in Å:
O (-2.56, 1.19, 0.03)
C (-1.37, 0.96, -0.02)
C (-0.55, -0.25, 0.07)
F (-1.05, -1.56, -0.01)
C (0.93, -0.19, 0.11)
O (1.49, -1.35, -0.05)
H (-0.61, 1.82, -0.29)
H (1.32, 0.78, 0.23)
H (2.40, -1.42, -0.07)

The calculation puts the HOMO-LUMO gap at 0.3370 Eh. For the energy above the lowest of the compared OMol25 structures with the same formula, charge and spin, the calculation gives 192.78 kJ/mol. The net charge is 0. The SMILES is O=C/C(F)=C/O. Its total energy is -366.374660 Ha. Its multiplicity is 1.

---

[4]
The following is a DFT calculation (ωB97M-V/def2-TZVPD) of a 2-piece molecular cluster, C6H13O2P overall.

Positions of all 22 atoms, in Å:
C (0.14, 0.57, -3.56)
C (-0.19, -0.13, -2.25)
P (-0.45, 0.59, -0.76)
O (-1.10, -0.82, -0.17)
C (-1.14, -1.13, 1.15)
C (-0.16, -2.26, 1.32)
C (1.27, -1.67, 1.53)
O (2.22, -1.67, 0.82)
H (-0.10, 1.56, -3.73)
H (1.16, 0.42, -3.90)
H (-0.38, 0.01, -4.24)
H (-0.02, -1.14, -2.53)
H (-2.13, -1.18, 1.57)
H (-0.75, -0.46, 1.96)
H (-0.28, -2.94, 0.43)
H (-0.29, -2.84, 2.19)
H (1.21, -1.32, 2.61)
C (0.21, 2.80, 1.54)
H (0.51, 3.72, 2.16)
H (0.81, 1.97, 1.73)
H (-0.83, 2.66, 1.63)
H (0.29, 3.25, 0.53)

The calculation puts the HOMO-LUMO gap at 0.3249 Eh. For the energy above the lowest of the compared OMol25 structures with the same formula, charge and spin, the calculation gives 364.34 kJ/mol. The net charge is 0. The SMILES is C/C=P/OCCC=O.C. Its total energy is -728.127083 Ha. Its multiplicity is 1.

---

[5]